
Europe sees unprecedented social polarisation

The giant consumer goods company Unilever has announced that it has begun employing its “third-world” marketing strategy in Europe. This is eloquent testimony to the growing social inequality now besetting the continent.

Jan Zijderveld, head of European operations, stated bluntly that the decision had been made because “poverty is returning to Europe”.

The group would begin producing the smaller, cheaper packages that it sells in Africa and Asia for the European market. “In Indonesia, we sell individual packs of shampoo [for] two to three cents and still make decent money,” Zijderveld said. “We know how to do that, but in Europe we have forgotten in the years before the crisis.”

Unilever has already adopted the strategy in Greece and Spain, two countries targeted for draconian austerity by the troika—the European Union, the International Monetary Fund and the European Central Bank. The troika’s austerity policies have only compounded the economic crisis in these countries, causing mass suffering. Youth unemployment is 53.8 percent and 52.9 percent in Greece and Spain, respectively.

But mass hardship is by no means confined to southern Europe. Two recent reports on conditions in Britain and Germany reveal sharp social polarisation in Europe’s “core”.

Who Gains from Growth?, drawn up by the Institute for Fiscal Studies (IFS) and the Institute for Economic Research (IER), forecasts that living standards for Britain’s low- and middle-income households will fall sharply over the next eight years, even if the country manages to emerge from its current double-dip recession.

Such households will see their incomes fall by up to 15 percent by 2020. A typical low-income family currently struggling on £10,600 per annum will see its net income fall in real terms to £9,000 at the end of the decade, while a middle-income family on £22,900 per annum will see a 3 percent decline. In contrast, the rich will see a rise in living standards.

These projections are all the more damning given that the report takes as its scenario annual growth rates of between 1.5 and 2.5 percent up to 2020 and no further spending cuts. In fact, conditions are likely to be far worse.

The Conservative-Liberal Democrat coalition has recently signalled that it intends a further assault on welfare benefits. Chancellor George Osborne is expected to announce a further £10 billion reduction in welfare, on top of the £18 billion cut already underway.

The measures come under conditions where 2.5 million people are officially out of work and where the majority of workers have been subjected to wage cuts and pay freezes. Some 3.6 million children are officially counted as living in poverty. A survey earlier this year saw four out of five teachers report pupils going without food.

In contrast, this year’s Sunday Times Rich List revealed that the combined wealth of the richest 1,000 people had risen to a record £414.260 billion.

A four-yearly report drawn up by Germany’s labour ministry, The Wealth and Poverty Report, shows that the gap between rich and poor is widening in the country that is usually proclaimed to be Europe’s sole economic success story.

The share of total wealth owned by the wealthiest 10 percent of the population rose from 45 percent in 1998 to 53 percent in 2008. Half of all households owned just 1.0 percent.

With nearly 16 percent of the population “at risk” of poverty, the report states, “Hourly wages that are no longer sufficient—even if someone is working full time—to feed a one-person household are exacerbating the poverty risks and undermining social cohesion.”

The two reports received an anxious response from sections of the media.

Britain’s Observer newspaper editorialised, “We need to avert this polarisation of Britain”.

“This polarisation, and the hollowing out of the already struggling middle Britain, is damaging for individual citizens, the body politic and social cohesion and for the future health, wealth and well-being of UK plc. It must not be allowed to occur,” it warned.

== Attached: crystal structures ==
____________
No. 1
! Tb4NdSm2Th, optimized geometry, DFT PBE; values from VASP
! * DFT formation energy: 0.01 eV per atom
! * DOS at the Fermi energy: 1.298 states/eV/atom
! * spin magnetization: 0.0 Bohr magnetons per cell
&SYSTEM
  ibrav = 0, nat = 8, ntyp = 4
/
ATOMIC_SPECIES
Tb 158.93 Tb.upf
Sm 150.36 Sm.upf
Th 232.04 Th.upf
Nd 144.24 Nd.upf
ATOMIC_POSITIONS angstrom
Tb 8.923 -6.140 8.227
Sm 11.717 -3.166 5.138
Tb 2.669 1.610 4.011
Sm 5.710 -0.222 3.745
Th 5.944 -3.625 4.943
Nd -0.062 -0.682 3.550
Tb 8.655 -2.710 6.994
Tb 2.937 -1.819 5.244
CELL_PARAMETERS angstrom
-0.296 2.722 2.352
0.171 -4.085 4.748
11.717 -3.166 5.138

***

No. 2
! Tl2PdSe2, optimized geometry, DFT PBE; values from VASP
! * DOS at the Fermi energy: 0.288 states/eV/atom
! * spin magnetization: 0.0 Bohr magnetons per cell
! * formation energy from raw total energies: -188 meV/atom
! * relative energy among the computed polymorphs: 0.911 eV/f.u.
&SYSTEM
  ibrav = 0, nat = 10, ntyp = 3
/
ATOMIC_SPECIES
Tl 204.38 Tl.upf
Pd 106.42 Pd.upf
Se 78.96 Se.upf
ATOMIC_POSITIONS angstrom
Tl 5.553 2.176 2.796
Pd 0.000 0.000 0.000
Se 5.758 4.373 0.000
Tl 2.176 1.201 2.796
Tl 1.201 4.577 2.796
Pd 3.377 3.377 0.000
Se 4.373 0.996 0.000
Se 2.381 5.758 0.000
Tl 4.577 5.553 2.796
Se 0.996 2.381 0.000
CELL_PARAMETERS angstrom
6.754 0.000 0.000
0.000 6.754 0.000
0.000 0.000 5.592

***

No. 3
! Th5Ge2C, optimized geometry, DFT PBE; values from VASP
! * DFT formation energy: -0.25 eV per atom
! * DOS at the Fermi energy: 1.030 states/eV/atom
! * spin magnetization: 0.0 Bohr magnetons per cell
&SYSTEM
  ibrav = 0, nat = 16, ntyp = 3
/
ATOMIC_SPECIES
Th 232.04 Th.upf
Ge 72.64 Ge.upf
C 12.01 C.upf
ATOMIC_POSITIONS angstrom
Th -3.467 -2.590 5.466
Th -2.871 0.910 4.328
Th -1.351 -3.347 10.843
Th -0.409 -0.698 13.290
Ge -1.075 -4.022 13.689
Ge -1.625 -2.672 7.997
Ge -2.597 0.235 7.174
Th -3.944 -0.897 9.764
Th -3.813 -1.740 1.881
C -2.177 -0.797 11.527
Th -0.755 0.152 9.705
Th -3.598 -1.747 13.350
Th -0.277 -1.541 5.407
Th -0.624 -0.691 1.821
Ge -3.147 1.584 1.482
C -2.045 -1.640 3.644
CELL_PARAMETERS angstrom
-1.652 5.100 1.369
-3.961 -4.124 -0.595
1.391 -3.414 14.398

***

No. 4
! AlFeHg2, optimized geometry, DFT PBE; values from VASP
! * DFT formation energy: 0.35 eV per atom
! * DOS at the Fermi energy: 0.511 states/eV/atom
! * spin magnetization: 2.7 Bohr magnetons per cell
&SYSTEM
  ibrav = 0, nat = 4, ntyp = 3
/
ATOMIC_SPECIES
Al 26.98 Al.upf
Hg 200.59 Hg.upf
Fe 55.84 Fe.upf
ATOMIC_POSITIONS angstrom
Al 2.107 0.000 2.034
Hg 0.000 0.000 0.000
Hg 2.107 2.107 0.000
Fe 0.000 2.107 2.034
CELL_PARAMETERS angstrom
4.213 0.000 0.000
0.000 4.215 0.000
0.000 0.000 4.068

***

No. 5
! Er7Tl5In, optimized geometry, DFT PBE; values from VASP
! * DFT formation energy: -0.13 eV per atom
! * DOS at the Fermi energy: 1.012 states/eV/atom
! * spin magnetization: 0.0 Bohr magnetons per cell
&SYSTEM
  ibrav = 0, nat = 13, ntyp = 3
/
ATOMIC_SPECIES
Tl 204.38 Tl.upf
Er 167.26 Er.upf
In 114.82 In.upf
ATOMIC_POSITIONS angstrom
____________

Responding to the German labour ministry report, the Frankfurter Rundschau opined that the gap between the rich and poor was widening as the result of a “re-deploying” of assets from the “bottom to the top”. Forecasting that without remedial action the next report would show the wealth gap had become even greater, it asked: “How long can society tolerate the rich getting richer? Nobody knows the answer.”

Beyond their complaints, however, neither newspaper had any remedies. The Frankfurter Rundschau wrote, with an air of desperation, “Since we have no solutions, we need to find them. We must try. Experiment.”

The Observer suggested a “national debate on…a new social contract,” but this consists of only vague and minimal proposals like “vocational education, childcare and a living wage.”

Such calls are as meaningless as they are bankrupt. They are directed to the same ruling elite that has seized on the global economic crisis it has created in order to carry out a social counterrevolution across Europe.

This scorched-earth strategy is led by the German and British bourgeoisie and, as the recent reports make clear, applies to workers at home as much as to those in southern Europe.

The Observer and Frankfurter Rundschau are correct that this is a recipe for major class confrontations and social explosions. But their appeals for the ruling elite to come to its senses and introduce certain palliatives to ameliorate class tensions fall on deaf ears.

The ruling class and its political representatives have repudiated any notion of social reform. Whether conservative, liberal or social democratic, they are all oriented to the super-rich and committed to a policy of class war. The European “social model” is now one of impoverishment without limit, policed by the trade unions and backed by police violence and state repression.

It is not a question of how long “society” can “tolerate” this state of affairs, but what the working class can and must do to change it. The only genuine solution to the catastrophe being visited across Europe lies in its own independent class action and programme.

The stranglehold over economic and social life exercised by the financial oligarchy can be broken only by a conscious, revolutionary struggle by the working class for the overthrow of capitalism and the formation of workers’ governments based on socialist policies in the fight for the United Socialist States of Europe.

Julie Hyland